Activity.
Next, quote all of the material further down word for word.

Given.
┌──
! Na10Zr4Ti4Si9S3O48 PBE optimized geometry; values from VASP
&SYSTEM
  ibrav = 0, nat = 234, ntyp = 6
/
ATOMIC_SPECIES
Ti 47.87 Ti.upf
Si 28.09 Si.upf
O 16.00 O.upf
Na 22.99 Na.upf
Zr 91.22 Zr.upf
S 32.06 S.upf
ATOMIC_POSITIONS crystal
Ti 0.834 0.346 0.183
Ti 0.163 0.671 0.817
Ti 0.996 0.994 0.853
Ti 0.993 0.994 0.352
Ti 0.671 0.668 0.018
Ti 0.829 0.310 0.981
Ti 0.174 0.678 0.517
Ti 0.993 0.974 0.649
Ti 0.174 0.671 0.015
Ti 0.493 0.995 0.856
Ti 0.664 0.682 0.814
Ti 0.992 0.013 0.145
Si 0.310 0.957 0.415
Si 0.816 0.966 0.412
Si 0.827 0.039 0.085
Si 0.000 0.709 0.753
Si 0.833 0.629 0.586
Si 0.860 0.711 0.247
Si 0.328 0.628 0.582
Si 0.855 0.991 0.752
Si 0.529 0.383 0.916
Si 0.693 0.340 0.081
Si 0.520 0.664 0.418
Si 0.499 0.708 0.754
Si 0.180 0.332 0.082
Si 0.665 0.955 0.918
Si 0.310 0.667 0.913
Si 0.021 0.383 0.918
Si 0.023 0.672 0.418
Si 0.327 0.027 0.082
Si 0.159 0.943 0.917
Si 0.181 0.029 0.586
Si 0.683 0.036 0.586
Si 0.162 0.373 0.418
Si 0.666 0.371 0.418
Si 0.996 0.288 0.249
Si 0.500 0.303 0.249
Si 0.351 0.701 0.249
Si 0.350 0.992 0.755
O 0.933 0.509 0.136
O 0.578 0.965 0.911
O 0.244 0.366 0.137
O 0.495 0.799 0.088
O 0.577 0.699 0.478
O 0.324 0.503 0.920
O 0.585 0.475 0.976
O 0.928 0.503 0.424
O 0.938 0.357 0.635
O 0.165 0.495 0.075
O 0.567 0.635 0.077
O 0.014 0.844 0.410
O 0.089 0.201 0.698
O 0.086 0.013 0.594
O 0.985 0.792 0.091
O 0.255 0.823 0.760
O 0.661 0.855 0.252
O 0.187 0.498 0.361
O 0.747 0.320 0.025
O 0.596 0.984 0.197
O 0.756 0.887 0.354
O 0.513 0.210 0.190
O 0.224 0.144 0.526
O 0.253 0.881 0.356
O 0.340 0.512 0.246
O 0.166 0.835 0.577
O 0.413 0.017 0.812
O 0.748 0.645 0.583
O 0.819 0.140 0.142
O 0.916 0.028 0.091
O 0.431 0.550 0.027
O 0.910 0.978 0.407
O 0.405 0.828 0.195
O 0.645 0.457 0.474
O 0.513 0.837 0.412
O 0.405 0.972 0.415
O 0.594 0.218 0.698
O 0.656 0.466 0.760
O 0.225 0.304 0.022
O 0.150 0.458 0.755
O 0.564 0.492 0.580
O 0.079 0.184 0.409
O 0.760 0.820 0.759
O 0.007 0.191 0.190
O 0.588 0.698 0.762
O 0.601 0.180 0.804
O 0.907 0.292 0.242
O 0.522 0.826 0.695
O 0.831 0.157 0.422
O 0.488 0.185 0.308
O 0.336 0.160 0.751
O 0.729 0.302 0.748
O 0.059 0.629 0.080
O 0.581 0.515 0.862
O 0.084 0.467 0.975
O 0.242 0.120 0.644
O 0.405 0.785 0.311
O 0.992 0.180 0.592
O 0.065 0.631 0.361
O 0.262 0.829 0.471
O 0.731 0.145 0.526
O 0.931 0.304 0.529
O 0.242 0.841 0.075
O 0.246 0.634 0.859
O 0.746 0.850 0.073
O 0.349 0.157 0.025
O 0.610 0.024 0.304
O 0.742 0.128 0.644
O 0.758 0.642 0.863
O 0.321 0.507 0.639
O 0.993 0.825 0.807
O 0.247 0.350 0.423
O 0.226 0.297 0.747
O 0.909 0.977 0.696
O 0.598 0.171 0.085
O 0.409 0.299 0.245
O 0.688 0.496 0.361
O 0.736 0.161 0.244
O 0.070 0.504 0.860
O 0.754 0.363 0.139
O 0.775 0.838 0.469
O 0.686 0.873 0.858
O 0.247 0.135 0.920
O 0.399 0.975 0.697
O 0.654 0.823 0.972
O 0.822 0.516 0.924
O 0.920 0.818 0.593
O 0.010 0.188 0.908
O 0.584 0.492 0.249
O 0.916 0.801 0.309
O 0.089 0.701 0.758
O 0.826 0.507 0.640
O 0.415 0.519 0.749
O 0.015 0.828 0.693
O 0.913 0.841 0.193
O 0.267 0.703 0.972
O 0.924 0.355 0.926
O 0.433 0.368 0.921
O 0.080 0.982 0.909
O 0.849 0.521 0.239
O 0.568 0.634 0.362
O 0.102 0.019 0.305
O 0.319 0.121 0.142
O 0.754 0.140 0.926
O 0.417 0.018 0.085
O 0.262 0.707 0.250
O 0.914 0.017 0.812
O 0.514 0.189 0.909
O 0.228 0.153 0.247
O 0.405 0.841 0.910
O 0.589 0.021 0.587
O 0.430 0.310 0.529
O 0.081 0.474 0.251
O 0.771 0.695 0.969
O 0.242 0.642 0.575
O 0.416 0.815 0.589
O 0.066 0.490 0.579
O 0.351 0.550 0.524
O 0.492 0.814 0.811
O 0.425 0.494 0.422
O 0.491 0.183 0.590
O 0.915 0.523 0.750
O 0.896 0.827 0.912
O 0.150 0.825 0.973
O 0.855 0.558 0.525
O 0.101 0.183 0.806
O 0.839 0.155 0.748
O 0.848 0.164 0.026
O 0.440 0.516 0.133
O 0.985 0.163 0.306
O 0.325 0.148 0.424
O 0.146 0.470 0.474
O 0.752 0.354 0.422
O 0.435 0.354 0.635
O 0.584 0.181 0.411
O 0.679 0.505 0.073
O 0.769 0.710 0.251
O 0.152 0.848 0.253
O 0.922 0.539 0.030
O 0.086 0.159 0.091
O 0.082 0.703 0.477
O 0.667 0.841 0.583
O 0.090 0.985 0.197
O 0.179 0.863 0.858
Na 0.342 0.343 0.831
Na 0.163 0.029 0.416
Na 0.339 0.352 0.331
└──

Solution.
! Na10Zr4Ti4Si9S3O48 PBE optimized geometry; values from VASP
&SYSTEM
  ibrav = 0, nat = 234, ntyp = 6
/
ATOMIC_SPECIES
Ti 47.87 Ti.upf
Si 28.09 Si.upf
O 16.00 O.upf
Na 22.99 Na.upf
Zr 91.22 Zr.upf
S 32.06 S.upf
ATOMIC_POSITIONS crystal
Ti 0.834 0.346 0.183
Ti 0.163 0.671 0.817
Ti 0.996 0.994 0.853
Ti 0.993 0.994 0.352
Ti 0.671 0.668 0.018
Ti 0.829 0.310 0.981
Ti 0.174 0.678 0.517
Ti 0.993 0.974 0.649
Ti 0.174 0.671 0.015
Ti 0.493 0.995 0.856
Ti 0.664 0.682 0.814
Ti 0.992 0.013 0.145
Si 0.310 0.957 0.415
Si 0.816 0.966 0.412
Si 0.827 0.039 0.085
Si 0.000 0.709 0.753
Si 0.833 0.629 0.586
Si 0.860 0.711 0.247
Si 0.328 0.628 0.582
Si 0.855 0.991 0.752
Si 0.529 0.383 0.916
Si 0.693 0.340 0.081
Si 0.520 0.664 0.418
Si 0.499 0.708 0.754
Si 0.180 0.332 0.082
Si 0.665 0.955 0.918
Si 0.310 0.667 0.913
Si 0.021 0.383 0.918
Si 0.023 0.672 0.418
Si 0.327 0.027 0.082
Si 0.159 0.943 0.917
Si 0.181 0.029 0.586
Si 0.683 0.036 0.586
Si 0.162 0.373 0.418
Si 0.666 0.371 0.418
Si 0.996 0.288 0.249
Si 0.500 0.303 0.249
Si 0.351 0.701 0.249
Si 0.350 0.992 0.755
O 0.933 0.509 0.136
O 0.578 0.965 0.911
O 0.244 0.366 0.137
O 0.495 0.799 0.088
O 0.577 0.699 0.478
O 0.324 0.503 0.920
O 0.585 0.475 0.976
O 0.928 0.503 0.424
O 0.938 0.357 0.635
O 0.165 0.495 0.075
O 0.567 0.635 0.077
O 0.014 0.844 0.410
O 0.089 0.201 0.698
O 0.086 0.013 0.594
O 0.985 0.792 0.091
O 0.255 0.823 0.760
O 0.661 0.855 0.252
O 0.187 0.498 0.361
O 0.747 0.320 0.025
O 0.596 0.984 0.197
O 0.756 0.887 0.354
O 0.513 0.210 0.190
O 0.224 0.144 0.526
O 0.253 0.881 0.356
O 0.340 0.512 0.246
O 0.166 0.835 0.577
O 0.413 0.017 0.812
O 0.748 0.645 0.583
O 0.819 0.140 0.142
O 0.916 0.028 0.091
O 0.431 0.550 0.027
O 0.910 0.978 0.407
O 0.405 0.828 0.195
O 0.645 0.457 0.474
O 0.513 0.837 0.412
O 0.405 0.972 0.415
O 0.594 0.218 0.698
O 0.656 0.466 0.760
O 0.225 0.304 0.022
O 0.150 0.458 0.755
O 0.564 0.492 0.580
O 0.079 0.184 0.409
O 0.760 0.820 0.759
O 0.007 0.191 0.190
O 0.588 0.698 0.762
O 0.601 0.180 0.804
O 0.907 0.292 0.242
O 0.522 0.826 0.695
O 0.831 0.157 0.422
O 0.488 0.185 0.308
O 0.336 0.160 0.751
O 0.729 0.302 0.748
O 0.059 0.629 0.080
O 0.581 0.515 0.862
O 0.084 0.467 0.975
O 0.242 0.120 0.644
O 0.405 0.785 0.311
O 0.992 0.180 0.592
O 0.065 0.631 0.361
O 0.262 0.829 0.471
O 0.731 0.145 0.526
O 0.931 0.304 0.529
O 0.242 0.841 0.075
O 0.246 0.634 0.859
O 0.746 0.850 0.073
O 0.349 0.157 0.025
O 0.610 0.024 0.304
O 0.742 0.128 0.644
O 0.758 0.642 0.863
O 0.321 0.507 0.639
O 0.993 0.825 0.807
O 0.247 0.350 0.423
O 0.226 0.297 0.747
O 0.909 0.977 0.696
O 0.598 0.171 0.085
O 0.409 0.299 0.245
O 0.688 0.496 0.361
O 0.736 0.161 0.244
O 0.070 0.504 0.860
O 0.754 0.363 0.139
O 0.775 0.838 0.469
O 0.686 0.873 0.858
O 0.247 0.135 0.920
O 0.399 0.975 0.697
O 0.654 0.823 0.972
O 0.822 0.516 0.924
O 0.920 0.818 0.593
O 0.010 0.188 0.908
O 0.584 0.492 0.249
O 0.916 0.801 0.309
O 0.089 0.701 0.758
O 0.826 0.507 0.640
O 0.415 0.519 0.749
O 0.015 0.828 0.693
O 0.913 0.841 0.193
O 0.267 0.703 0.972
O 0.924 0.355 0.926
O 0.433 0.368 0.921
O 0.080 0.982 0.909
O 0.849 0.521 0.239
O 0.568 0.634 0.362
O 0.102 0.019 0.305
O 0.319 0.121 0.142
O 0.754 0.140 0.926
O 0.417 0.018 0.085
O 0.262 0.707 0.250
O 0.914 0.017 0.812
O 0.514 0.189 0.909
O 0.228 0.153 0.247
O 0.405 0.841 0.910
O 0.589 0.021 0.587
O 0.430 0.310 0.529
O 0.081 0.474 0.251
O 0.771 0.695 0.969
O 0.242 0.642 0.575
O 0.416 0.815 0.589
O 0.066 0.490 0.579
O 0.351 0.550 0.524
O 0.492 0.814 0.811
O 0.425 0.494 0.422
O 0.491 0.183 0.590
O 0.915 0.523 0.750
O 0.896 0.827 0.912
O 0.150 0.825 0.973
O 0.855 0.558 0.525
O 0.101 0.183 0.806
O 0.839 0.155 0.748
O 0.848 0.164 0.026
O 0.440 0.516 0.133
O 0.985 0.163 0.306
O 0.325 0.148 0.424
O 0.146 0.470 0.474
O 0.752 0.354 0.422
O 0.435 0.354 0.635
O 0.584 0.181 0.411
O 0.679 0.505 0.073
O 0.769 0.710 0.251
O 0.152 0.848 0.253
O 0.922 0.539 0.030
O 0.086 0.159 0.091
O 0.082 0.703 0.477
O 0.667 0.841 0.583
O 0.090 0.985 0.197
O 0.179 0.863 0.858
Na 0.342 0.343 0.831
Na 0.163 0.029 0.416
Na 0.339 0.352 0.331